Gomega GBP/JPY FX AutoTrader
I get a lot of member asking me to teach them how to trade since the last video I posted on how I did 1100% in just 38 days. I love to teach, but I can not do one on one coaching, I just dont have enough time to do so.
If you missed my video, you can see it again here.
# Here the piece breaks off for data records
┌──
[1]
HfAgF2 | PBE-GGA | optimized geometry

```
4
Lattice="-6.830 -5.432 -5.526 -5.001 -7.600 -4.890 -7.099 -6.871 -3.014" Properties=species:S:1:pos:R:3 pbc="T T T"
Ag 0.000 0.000 0.000
F -2.218 -2.333 -1.574
F -16.711 -17.571 -11.856
Hf -9.465 -9.952 -6.715
```

Results
Raw formation energy   -7.364 eV per formula unit
Crystal system   trigonal
Density of states at the Fermi level   2.9 states/eV/cell
Distance to the lowest polymorph of the same formula   0.000 eV/atom
Spin magnetization   0.22 μB/f.u.

=====

[2]
Cr2PRh | PBE-GGA | optimized geometry

```
4
Lattice="3.796 0.000 0.000 0.000 2.700 0.008 0.000 2.070 4.807" Properties=species:S:1:pos:R:3 pbc="T T T"
Cr 0.000 0.172 0.158
Cr 0.000 2.212 2.250
Rh 1.898 3.577 3.611
P 1.898 1.192 1.204
```

Results
Crystal system   monoclinic
Density of states at the Fermi level   3.8 states/eV/cell
Energy of formation   -14.7 kJ per mole of atoms
Spin magnetization   0.00 μB/f.u.

=====

| no. | E_tot (eV/atom) |
| --- | --- |
| 1 | -5.978 |
| 2 | -8.154 |
└──
Today, I am not going to teach you how to trade, it took me more than 16+ years of trading to learn how to make massive amount of money trading stock options, and it would be insane for me to unload my years of experiance to you. You simply can not absorb any or all the knowledge and experiance I have done in the last 16 years. Impossible for you to learn any of it in just 1 post. I have tried to explain it over the last 2 years here and there and none of the members here actually got it on how easy it is to make money online if you put some effort to it.
Now, I met my friend Jonathan last week while I was speaking at an event in Texas and discover a truly easy system that anyone can setup and run on autopilot. His product is only open for sale for next few days, and he will closed the beta program. I was fortunate enough to have spent 2 days with him understand the system he has build, and was able to get him to allow me to introduce them to my memebers here on FHUSA.
If anyone is seriously interested in setting up system that is going to set you free financially, you owe it to yourself to get involve with this program. For anyone who does sign up with this, I am going to make a personal comittment to ensure your trading platform is setup on auto pilot so it will run on its own for you, making insane return while you are sleeping.
You owe it to youself, I been telling you for years on many of the same strategies and systems I use to to make millions for myself and my clients. All of you had let it pass you by? Why? Is it because you dont see the opportunity to change your life? Or is it you do not believe you are capable of succeeding? Or is it you went crazy and led to believe in failure and lies by people who steal and never experiance success in life? I hope that is not you.
Whatever the excuse or reason is, dont let it pass on again. We are half way through 2009 and you are going to let another 6 months go by and never take any action?
Don’t miss out again, let me help you change your life in 2009. Watch the video that explain the entire program on how easy it is to automate a cash generating system for you.
Email me once you gone through the order process to get the system. I will personally ensure your account is setup by the team of professional so we can retire together in the next few years.
To your success!